Published — v. 8
Add or Edit a Webhook
Add or Edit a Webhook
Configuring a webhook
To add a new webhook, select Settings > Account Settings > Developer's Corner > Webhooks and click on Add new webhook.
As mentioned in our brief overview of webhooks, they're highly customizable. That's why, when you create or edit a webhook, there are several settings that you can configure. Let's review them one by one.
- Name: enter a descriptive name for the webhook (for internal purposes only)
- Callback URL: the URL of the page that will receive the "call" when the webhook is triggered
- Event: The type of webhook: there are currently 4 events that can trigger the execution of a webhook:
- Subscribe: a recipient subscribed to the List
- Unsubscribe: a recipient unsubscribed from the List
- Changeprofile: a recipient's profile was updated. A modification in the groups that a recipient is assigned to counts as a profile change.
- Delete: a recipient was removed from the List
- Source: the event can originate from three different sources:
- API: the event occurred due to an API call. For example, a recipient was registered in MailUp from a form that executed an API call to MailUp
- Console: the event occurred due to some operation being executed in the admin console. For example, a new recipient was added manually as a subscriber in the admin console.
- Recipient: the event occurred due to an action that a recipient took. For example, a recipient unsubscribed.
- Method: the method in which the callback is technically executed. It can be a POST or a GET.
- Active: whether the webhook is active or inactive.
- Encrypted: whether the callback is encrypted. If so, you will need to specify a key.
- MailUp will encrypt the data using RC4 encryption and the key provided
- The data is then converted to Base64 encoding.
- The receiving page - knowing the key - can perform the opposite operations to extract the data.
- Parameters: the parameters sent in the callback. See below for details.
The parameters that can be included in the callback are:
- [EventDate]: the date in which the event occurred, in ISO 8601 format (e.g.: 2012-09-12T11:18:37.664+02)
- [IdConsole]: the account ID
- [IdList]: the list ID
- [IdNL]: the message ID
### What comes next are records of crystals, not part of the text
~~~
# 1
DFT (PBE) results for an optimized crystal structure of Ca3Tl2Cd9.

Properties
Final energy, eV/atom: -1.56
Magnetic moment, μB per cell: 0.00
Formation energy from the elements, eV per formula unit: -2.83

```
data_Ca3Tl2Cd9
_chemical_formula_sum 'Ca6 Tl4 Cd18'
_symmetry_space_group_name_H-M 'I m m m'
_symmetry_Int_Tables_number 71
_symmetry_space_group_name_Hall '-I 2 2'
_cell_length_a 4.755
_cell_length_b 11.190
_cell_length_c 13.792
_cell_angle_alpha 90.00
_cell_angle_beta 90.00
_cell_angle_gamma 90.00
loop_
_atom_site_label
_atom_site_type_symbol
_atom_site_fract_x
_atom_site_fract_y
_atom_site_fract_z
Ca1 Ca 0.000 0.000 0.000
Ca2 Ca 0.000 0.000 0.294
Tl1 Tl 0.000 0.177 0.500
Cd1 Cd 0.000 0.278 0.153
Cd2 Cd 0.000 0.375 0.352
Cd3 Cd 0.000 0.500 0.000
```



# 2
DFT (PBE) results for an optimized crystal structure of AcSm5HoTm2.

Properties
Final energy, eV/atom: -4.49
Magnetic moment, μB per cell: 0.00
Formation energy from the elements, eV per formula unit: 0.79

```
data_AcSm5HoTm2
_chemical_formula_sum 'Ac4 Sm20 Ho4 Tm8'
_symmetry_space_group_name_H-M 'C m c 21'
_symmetry_Int_Tables_number 36
_symmetry_space_group_name_Hall 'C 2c -2'
_cell_length_a 5.770
_cell_length_b 17.418
_cell_length_c 12.102
_cell_angle_alpha 90.00
_cell_angle_beta 90.00
_cell_angle_gamma 90.00
loop_
_atom_site_label
_atom_site_type_symbol
_atom_site_fract_x
_atom_site_fract_y
_atom_site_fract_z
Ac1 Ac 0.000 0.114 0.000
Sm1 Sm 0.000 0.079 0.340
Sm2 Sm 0.000 0.081 0.665
Sm3 Sm 0.000 0.268 0.796
Sm4 Sm 0.000 0.269 0.205
Sm5 Sm 0.000 0.440 0.648
Ho1 Ho 0.000 0.249 0.500
Tm1 Tm 0.000 0.388 0.000
Tm2 Tm 0.000 0.438 0.353
```

* * * * *

BaTl2Ir: relaxed, PBE.

total magnetization = 0.000 μB per formula unit
energy of formation from the pure elements = 0.202 eV/atom
energy = -3.677 eV/atom
crystal system = cubic

a = 5.3017 Å, b = 5.3017 Å, c = 5.3017 Å
α = 60.00°, β = 60.00°, γ = 60.00°
Closest atoms and distances in Å follow each position.
Fractional positions:
Tl 0.2500 0.2500 0.2500  4 Ir 3.25, 4 Ba 3.25
Tl 0.7500 0.7500 0.7500  4 Ba 3.25, 4 Ir 3.25
Ir 0.5000 0.5000 0.5000  8 Tl 3.25
Ba 0.0000 0.0000 0.0000  8 Tl 3.25

* * * * *

Record 1
Here is a relaxed SmPdRh crystal from the Alexandria database. Energies are from PBE.

Cell: 5.401 5.454 7.710 Å, 90.00 90.00 90.00°
Space group Imma (No. 74)
Unique sites:
Sm1 0.000 0.250 0.127
Pd1 0.250 0.250 0.750
Rh1 0.000 0.000 0.500

## Properties
VASP energy = -6.458 eV/atom
energy relative to the lowest polymorph listed for this composition = 0.0 meV per atom
crystal system = orthorhombic
formation energy = -0.704 eV/atom
total magnetization = 0.0 μB per cell

***

Record 2
Here is a relaxed Sm6Pd2Rh crystal from the Alexandria database. Energies are from PBE.

Cell: 6.649 7.461 12.048 Å, 90.00 121.06 90.00°
Space group P2_1/c (No. 14)
Unique sites:
Sm1 0.094 0.185 0.432
Sm2 0.257 0.674 0.429
Sm3 0.401 0.041 0.247
Pd1 0.174 0.116 0.736
Rh1 0.500 0.000 0.500

## Properties
VASP energy = -5.645 eV/atom
~~~
### So much for the records of crystals
- [EventType]: the type of event
- [EventSource]: the source of the event
- [Reason]: the reason why a recipient unsubscribed. It only applies to the unsubscribe event type and includes the code that defines the different unsubscribe types.
- [Email]: the recipient's email
- [Prefix]: the recipient's mobile phone international prefix
- [Number]: the recipient's mobile phone
- [Groups]: a comma-separated array of the groups that the recipient belongs to in the List [IdList]
- [Channel]: takes the values:
- Unknown = -1
- Mail = 0
- Sms = 1
- Fax = 2
- Social = 5
- Plus all of the recipient fields that are in use for that MailUp account
Limitations to webhooks
Currently, webhooks are not executed:
- When there is a bulk import
- When a Web service is used (this is meant for Rest Api calls, while it is activated through interaction with Http Api calls)
In addition, please note that webhooks are List-specific, and you cannot currently create a webhook that applies to multiple lists. In the future, you will be able to quickly copy a webhook to create a similar or identical one in a new List.